Can someone give info about these makers? Where - What - Who - pics.... who plays them, how do they work...... etc etc etc
Please add info on other master oud makers we might not have heard of... I know of Albert Mansour also - he seems to be know for making the lightest
ouds: 600grams
fernandraynaud - 5-8-2010 at 12:42 AM
Edward, you might best rely on your own research, all anybody can tell you is their opinion.
Nazih Ghadban out of Beirut makes very well-finished and good-sounding ouds. I've played a relatively small one, 58.5 cm, nice midrange timbre, a
little nasal, not a strong bottom. I'm sure others can fill this in better, he's considered a major luthier, and has a lot of admirers. You can make
out the timbre here:
Web site:
Ibrahim Sukar out of Aleppo, makes a line of ouds that are considered by most members "reliable middle tier", although they sound very darned good to
me. He refuses to use the most expensive materials people associate with top "boutique" ouds. I think he's dedicated to making high quality affordable
for more people. He has developed a standard bracing and soundboard design to take the guesswork out of producing good-sounding ouds. The timbre is
consistently on the bright side with a strong projection, long sustain and powerful bass, and his ouds have a lot of sharper resonance points rather
than a couple of wide peaks. Not buzzy like a Turkish or sharp/plucky like an Iraqi floating bridge, but still quite different from the typical
throaty Egyptian barking timbre. He is one of only two luthiers offering an adjustable neck/action height, Fadi Matta being the other. This allows you
to optimize the action to taste, and avoid neck jobs as the instrument settles. I have one of his Model 1s and have played several others. I think
Sukar will be quite highly ranked in coming years. I recognize his ouds on various concert photos and videos, though I'm not much into "who plays
-- begin --
Run i
The following is a PBE calculation of a relaxed structure of Tb2ErSn, from Alexandria.

a b c (Å): 4.815 4.798 4.798
angles (deg): 90.00 90.00 90.00
Fractional positions:
Tb: 0.000 0.000 0.500
Tb: 0.000 0.500 0.000
Sn: 0.500 0.000 0.000
Er: 0.500 0.500 0.500

The total moment is 0.0 μB/cell. The density of states at the Fermi level is 1.100 states/eV/atom.

***

Run ii
The following is a PBE calculation of a relaxed structure of Tb2ErSn, from Alexandria.

a b c (Å): 3.503 3.503 12.093
angles (deg): 81.67 81.67 60.00
Fractional positions:
Tb: 0.087 0.087 0.738
Tb: 0.913 0.913 0.262
Sn: 0.000 0.000 0.000
Er: 0.500 0.500 0.500

The total moment is 0.0 μB/cell. The density of states at the Fermi level is 0.989 states/eV/atom.

***

Which one sits at the top of the stability order? run i does.

***

Run i
The following is a PBE calculation of a relaxed structure of Er2SnTe, from Alexandria.

a b c (Å): 4.224 7.608 14.929
angles (deg): 90.00 90.00 90.00
Fractional positions:
Er: 0.750 0.288 0.506
Er: 0.250 0.712 0.494
Er: 0.750 0.788 0.994
Er: 0.250 0.212 0.006
Er: 0.750 0.159 0.756
Er: 0.250 0.341 0.256
Er: 0.750 0.659 0.744
Er: 0.250 0.841 0.244
Sn: 0.750 0.085 0.148
Sn: 0.250 0.915 0.852
Sn: 0.750 0.585 0.352
Sn: 0.250 0.415 0.648
Te: 0.250 0.580 0.097
Te: 0.250 0.080 0.403
Te: 0.750 0.420 0.903
Te: 0.750 0.920 0.597

The total moment is 0.0 μB/cell. The density of states at the Fermi level is 0.300 states/eV/atom.

***

Run ii
The following is a PBE calculation of a relaxed structure of Er2SnTe, from Alexandria.

a b c (Å): 4.357 4.357 7.585
angles (deg): 73.31 73.31 60.00
Fractional positions:
Te: 0.500 0.500 0.500
Sn: 0.000 0.000 0.000
Er: 0.255 0.255 0.235
Er: 0.745 0.745 0.765

The total moment is 0.0 μB/cell. The density of states at the Fermi level is 0.259 states/eV/atom.

***

Which one sits at the top of the stability order? run ii does.

***

Run i
The following is a PBE calculation of a relaxed structure of Er5Sn2Te2, from Alexandria.

a b c (Å): 7.619 8.139 10.156
angles (deg): 113.62 112.03 90.00
Fractional positions:
Er: 0.223 0.680 0.884
Er: 0.777 0.796 0.116
Er: 0.161 0.180 0.884
Er: 0.839 0.296 0.116
Er: 0.297 0.000 0.309
Er: 0.703 0.691 0.691
Er: 0.512 0.500 0.309
Er: 0.488 0.191 0.691
Er: 0.090 0.760 0.500
Er: 0.910 0.260 0.500
Sn: 0.130 0.600 0.170
Sn: 0.870 0.430 0.830
Sn: 0.539 0.100 0.170
Sn: 0.461 0.930 0.830
Te: 0.000 0.966 0.000
Te: 0.500 0.466 0.000
Te: 0.285 0.413 0.500
Te: 0.715 0.913 0.500

The total moment is 0.0 μB/cell. The density of states at the Fermi level is 0.649 states/eV/atom.

***

Run ii
The following is a PBE calculation of a relaxed structure of Er5Sn2Te2, from Alexandria.

a b c (Å): 8.061 8.006 8.632
angles (deg): 117.63 90.00 90.00
Fractional positions:
Er: 0.000 0.000 0.000
Er: 0.500 0.500 0.000
Er: 0.837 0.798 0.268
Er: 0.163 0.470 0.268
Er: 0.337 0.970 0.268
Er: 0.663 0.298 0.268
Er: 0.163 0.202 0.732
Er: 0.837 0.530 0.732
Er: 0.663 0.030 0.732
Er: 0.337 0.702 0.732
Sn: 0.637 0.861 0.000
-- stop --
You can make out the timbre:
Web site:
Khalaf (apparently known as Jameel Abraham around here) is American, a relative newcomer, but he has admirers all over. The timbre of even his first
ouds is impressive, very rich, in many ways remind me of Faruk's
Web site:
Peter Rafela plays his ouds Edward Powell - 5-8-2010 at 01:41 AM
GReat Thanks!
Unfortunately I don't have download capacity where I am now staying so I can't check those clips..... But I will be doing that ASAP!
tHANKS!sabbassi - 5-8-2010 at 12:49 PM
Wha tabout me?
just kidding...I can't compare myself with great masters like Ghadban, Sukar etc.... I was surprised to see myself on the list. Making ouds is only a
hobby I practice at night and in the weekends. although I do myself some researches to create better oud with better sound with different kind of
woods etc.
To answer your question,
I'm Samir Abbassi, I live in Holland and love playing oud, the Arabic old school, Kalthoum, Farid Abdelwahab etc....
you can see a picture of mine here: second from the right:
You should have mentioned, that you have learned building ouds from your friend Khalid Belhaiba in Morocco. I think, this is not unimportant and more an advantage than a downside
I was surprised to see myself on the list.
No reason to be surprised
You documented several building processes here in the forum, so you got noticed by many. And you documented by videos, that your ouds have a very good
So no wonder, that you got recognized as a luthier, hobbyist or not, what counts is the result. And you as a hobbyist have a great advantage over the
professional luthiers ... the price.
Many people can't afford a Ghadban or Türünz oud.
PS: A further advantage of yours is, that you're located in Central Europe ... we don't have many oud luthiers here.fernandraynaud - 5-9-2010 at 01:52 AM
Having listened to a lot of bad recordings, I'm starting to be able to separate at least in some cases, the recording from the oud. But I can't be
sure. And of course there are preferences, personally I don't care for the tight Iraqi floating bridge sound.
But I wonder who else agrees: the best-sounding ouds overall to my ears, more than any other, are those by Jameel Abraham Khalaf as he's called. Like
That reminds me of something I read once, a really good player was playing a guitar and someone said "wow, that guitar sounds really good" so the
player put the guitar down and said "now how does it sound?"Luttgutt - 5-9-2010 at 03:18 AM
That reminds me of something I read once, a really good player was playing a guitar and someone said "wow, that guitar sounds really good" so the
player put the guitar down and said "now how does it sound?"
Hehe... you made my day lol
No seriously, I wrote long ago on this forum that I think Jameel is (inspite of the favt that he has only built 5 ouds!) is a remarkable luthier (I am
not going to use terms as best, etc... )
And, if I remember well, I wrote it in response to somebody writing that FT was the best in the world
But there are so many other good luthiers... and ouds are individuales (so are our ears )
My top favorits are (not in any order)
Dimitris, Sukar (his custom made ouds, of course), Ghadban, Khalaf (only if he produces more ), Mansour (I know that he was sick. And I hope he will continue making ouds)
p.s. My 7-course Sukar is, to me, the best sounding oud I have ever played or heard. And I can promise you that I have played many
Sazi - 5-9-2010 at 04:14 AM
Just thought I'd mention my favorite maker @ the moment, Dr. Ali Hassan! Also a member of this forum, describes himself as "just a hobbyist" though
I'm sure some of his prestigious satisfied customers will change that! Not been making ouds long but studied and worked hard at it, and is very
knowledgable on the various factors that determine almost exactly what an oud will sound like and how it will respond once it is finished.
Here he tried for a Bashir sound... and I think he succeeded admirably! ( My favorite! )
Impossible to list all good makers. But I listed those who I have tried and liked best.
Have not tried a Ali oud yet... but I hope I'll be able to get one soon
p.s. I have not tried Jameel oud either. But I listed him because it is difficult not to admire his work, espetially knowing that he has only produced
5 ouds so far!!!!!